[Exercise]
Copy all of the listing further below word for word.
[Given]
********
The following is a DFT calculation (PBEsol) of an optimized crystal structure of MgSe2.

```
6
Lattice="-0.451 2.673 0.801 -4.784 0.752 -5.207 -5.137 -2.186 4.404" Properties=species:S:1:pos:R:3 pbc="T T T"
Mg -4.960 -0.717 -0.402
Mg -0.226 1.336 0.400
Se -7.746 -1.120 -0.627
Se -2.174 -0.314 -0.176
Se -5.108 1.263 -2.108
Se -5.263 -0.025 2.105
```

Values from the calculation:
Its formation energy from raw total energies is -353 meV per atom.

---

The following is a DFT calculation (PBEsol) of an optimized crystal structure of MgSe2.

```
6
Lattice="-3.254 -1.525 1.927 -1.521 -2.326 -4.408 3.401 -5.245 1.594" Properties=species:S:1:pos:R:3 pbc="T T T"
Mg 0.000 0.000 0.000
Mg -0.687 -4.548 -0.443
Se 1.795 -3.626 0.161
Se 0.086 -3.944 -2.975
Se 0.360 -7.022 -0.632
Se -1.734 -2.074 -0.254
```

Values from the calculation:
Its formation energy from raw total energies is -795 meV per atom.
********
[Solution]
The following is a DFT calculation (PBEsol) of an optimized crystal structure of MgSe2.

```
6
Lattice="-0.451 2.673 0.801 -4.784 0.752 -5.207 -5.137 -2.186 4.404" Properties=species:S:1:pos:R:3 pbc="T T T"
Mg -4.960 -0.717 -0.402
Mg -0.226 1.336 0.400
Se -7.746 -1.120 -0.627
Se -2.174 -0.314 -0.176
Se -5.108 1.263 -2.108
Se -5.263 -0.025 2.105
```

Values from the calculation:
Its formation energy from raw total energies is -353 meV per atom.

---

The following is a DFT calculation (PBEsol) of an optimized crystal structure of MgSe2.

```
6
Lattice="-3.254 -1.525 1.927 -1.521 -2.326 -4.408 3.401 -5.245 1.594" Properties=species:S:1:pos:R:3 pbc="T T T"
Mg 0.000 0.000 0.000
Mg -0.687 -4.548 -0.443
Se 1.795 -3.626 0.161
Se 0.086 -3.944 -2.975
Se 0.360 -7.022 -0.632
Se -1.734 -2.074 -0.254
```

Values from the calculation:
Its formation energy from raw total energies is -795 meV per atom.